Diamonds are a girl’s best friend – because of the inert embodied carbon, as the song goes. Diamonds, trees, bogs and our bodies are chock full of carbon. Tiny factories in leaves called chloroplasts use sunlight for the energy needed to capture carbon from the carbon dioxide in the air. Carbon gets incorporated into tree trunks, leaves and twigs; this means as you look around a forest you see solid objects made of concentrated air.

Animals cannot make their own carbon like plants can – they depend on eating plants, or on eating other animals that eat plants, to get carbon. Nature is expert at recycling carbon; capturing, decomposing and recapturing carbon is the normal cycle.
Have you ever thought about where your body fat goes when you lose weight? The carbon part is breathed out as carbon dioxide, solid fat becoming air. Some of the carbon captured by plants and animals cycles between solid and gas forms quite quickly; other carbon stays in the body of the plant or animal for longer and can actually draw carbon down from the atmosphere and lock it away for hundreds, thousands or millions of years.
Diamonds are the ultimate in long-term carbon. They formed deep in the Earth’s mantle from carbon trapped there during the planet’s formation long before carbon from land plants and animals started to build up. The carbon stored in fossil fuels is relatively recent compared to the carbon in diamonds.
The build-up of dead plant and animal sediments at the bottom of oceans or lakes without oxygen meant few bacteria or fungi could decompose the dead organisms and free the carbon back into the atmosphere. Over geological timescales of millions of years, layers of undecayed materials were put under immense pressures and temperatures turning into compressed, hard, and valuable deposits of coal, oil and natural gas.
+++
! LiTiHgI6 | Alexandria | GGA-PBE | optimized geometry; values from VASP
&SYSTEM
  ibrav = 0, nat = 9, ntyp = 4
/
ATOMIC_SPECIES
Ti 47.87 Ti.upf
I 126.90 I.upf
Hg 200.59 Hg.upf
Li 6.94 Li.upf
ATOMIC_POSITIONS crystal
Ti 0.332 0.333 0.500
I 0.017 0.628 0.731
I 0.015 0.357 0.267
I 0.630 0.354 0.731
I 0.354 0.630 0.269
I 0.628 0.017 0.269
I 0.356 0.015 0.733
Hg 0.000 0.000 0.000
Li 0.667 0.667 0.500
CELL_PARAMETERS angstrom
-3.366 -5.972 2.751
1.744 -6.729 -2.506
4.928 -0.544 4.798
! Calculated total energy in eV per atom: -2.793
! DOS(E_F) in states/eV/f.u.: 3.6
! Spin magnetization in μB per formula unit: 0.00

* * * * *

1.
Computed, not measured: Si12Ni31 at its PBEsol-relaxed geometry at the meta-GGA SCAN level of DFT.

```
data_Si12Ni31
_symmetry_space_group_name_H-M 'P 1'
_symmetry_Int_Tables_number 1
_cell_length_a 6.5816
_cell_length_b 6.5816
_cell_length_c 12.1303
_cell_angle_alpha 90.00
_cell_angle_beta 90.00
_cell_angle_gamma 120.00
loop_
_symmetry_equiv_pos_as_xyz
'x,y,z'
loop_
_atom_site_label
_atom_site_type_symbol
_atom_site_fract_x
_atom_site_fract_y
_atom_site_fract_z
_atom_site_occupancy
Si1 Si 0.0000 0.0000 0.2938 1
Si2 Si 0.0000 0.0000 0.7062 1
Si3 Si 0.3333 0.6667 0.2760 1
Si4 Si 0.6667 0.3333 0.7240 1
Si5 Si 0.3333 0.6667 0.7743 1
Si6 Si 0.6667 0.3333 0.2257 1
Si7 Si 0.3183 0.3183 0.0000 1
Si8 Si 0.6817 0.0000 0.0000 1
Si9 Si 0.0000 0.6817 0.0000 1
Si10 Si 0.6491 0.6491 0.5000 1
Si11 Si 0.3509 0.0000 0.5000 1
Si12 Si 0.0000 0.3509 0.5000 1
Ni1 Ni 0.0000 0.0000 0.5000 1
Ni2 Ni 0.0000 0.0000 0.0974 1
Ni3 Ni 0.0000 0.0000 0.9026 1
Ni4 Ni 0.3333 0.6667 0.0726 1
Ni5 Ni 0.6667 0.3333 0.9274 1
Ni6 Ni 0.3333 0.6667 0.5667 1
Ni7 Ni 0.6667 0.3333 0.4333 1
Ni8 Ni 0.6665 0.5902 0.0957 1
Ni9 Ni 0.4098 0.0763 0.0957 1
Ni10 Ni 0.9237 0.3335 0.0957 1
Ni11 Ni 0.3335 0.9237 0.9043 1
Ni12 Ni 0.0763 0.4098 0.9043 1
Ni13 Ni 0.5902 0.6665 0.9043 1
Ni14 Ni 0.2975 0.3344 0.1975 1
Ni15 Ni 0.6656 0.9631 0.1975 1
Ni16 Ni 0.0369 0.7025 0.1975 1
Ni17 Ni 0.7025 0.0369 0.8025 1
Ni18 Ni 0.9631 0.6656 0.8025 1
Ni19 Ni 0.3344 0.2975 0.8025 1
Ni20 Ni 0.6754 0.6418 0.3049 1
Ni21 Ni 0.3582 0.0336 0.3049 1
Ni22 Ni 0.9664 0.3246 0.3049 1
Ni23 Ni 0.3246 0.9664 0.6951 1
Ni24 Ni 0.0336 0.3582 0.6951 1
Ni25 Ni 0.6418 0.6754 0.6951 1
Ni26 Ni 0.3078 0.3668 0.4033 1
Ni27 Ni 0.6332 0.9410 0.4033 1
Ni28 Ni 0.0590 0.6922 0.4033 1
Ni29 Ni 0.6922 0.0590 0.5967 1
Ni30 Ni 0.9410 0.6332 0.5967 1
Ni31 Ni 0.3668 0.3078 0.5967 1
```

symmetry	P321 (150)
calculated volume	455.06	Å³ per cell
magnetic moment	0.0	μB/cell

2.
Computed, not measured: Si3Ni5 at its PBEsol-relaxed geometry at the meta-GGA SCAN level of DFT.

```
data_Si3Ni5
_symmetry_space_group_name_H-M 'P 1'
_symmetry_Int_Tables_number 1
_cell_length_a 4.6840
_cell_length_b 6.5462
_cell_length_c 6.5462
_cell_angle_alpha 82.65
_cell_angle_beta 69.04
_cell_angle_gamma 69.04
loop_
_symmetry_equiv_pos_as_xyz
'x,y,z'
loop_
_atom_site_label
_atom_site_type_symbol
_atom_site_fract_x
_atom_site_fract_y
_atom_site_fract_z
+++
The records of crystals stop here =
The carbon in coal, oil and gas can be easily freed into the atmosphere by burning them. Millions of years of stored carbon has been pumped back into the atmosphere over the past few decades.
Climate change
Carbon dioxide is a greenhouse gas and its rising level in the atmosphere is responsible for human-induced climate change. Slowing down and stopping the fossil fuel carbon emissions is essential to combat climate change but we also need ways to capture carbon from the atmosphere and make it still, solid and inert for long periods of time.
Carbon can be pulled out of the atmosphere and stored for long periods of time in soils, bogs, ocean sediments and forests. Trees capture carbon and store it as wood. New forests pull carbon down from the atmosphere as they grow and even when trees are harvested they can provide medium-to-long-term carbon storage through the use of timber in long lived building materials or furniture.
One of the quickest and cheapest solutions to draw carbon from the atmosphere is to plant trees. There is huge potential on planet Earth to replant areas that were once forested with trees and to start the biggest carbon capture and storage project we can currently conceive of.
There is some controversy about the vast reported potential of tree planting. Scientists are not all in agreement about how much tree planting can contribute to climate solutions. It matters what kinds of trees are planted where.
Poorly-planned forests can decrease biodiversity if they replace other, richer habitats, swapping a climate problem for a biodiversity problem. Single species plantations, like the ubiquitous Sitka spruce, provide habitat for relatively few other species.
Forests on the wrong kinds of soils can lead to the release of carbon from peaty, carbon-rich soils. Highly flammable tree species planted in fire prone and warming regions can lead to rapid carbon cycling between trees and the atmosphere that provides few long-term carbon benefits.
Effective use of forests as nature-based solutions for our climate woes requires a long view, both backwards in time and forwards in time. We need accurate whole of life-cycle carbon accounting and biodiversity monitoring to track the net carbon and nature gains from planting certain tree species in particular locations.
While there may be new ways developed to draw down carbon from the atmosphere, designing the right kinds of forests in the right places to capture and store carbon is currently as close as we are likely to get to making diamonds from air.
Yvonne Buckley is an ecologist and Professor of Zoology at Trinity College Dublin